-- Excerpt --
Entry 1:
Entry from the OMol25 dataset: an isolated molecule of C4H5ClS2 at a distorted geometry (ωB97M-V with the def2-TZVPD basis set).

XYZ file:
```
12
Properties=species:S:1:pos:R:3:forces:R:3
S -2.446387 1.293185 -1.607281 -0.10 -0.04 0.01
H 0.195579 0.741135 1.856851 0.34 -0.36 0.06
C 0.299590 -0.993394 0.572166 0.80 0.49 0.83
Cl 2.438218 0.499570 1.209034 0.81 0.52 -0.22
C 0.861175 -0.115177 1.653512 -0.33 -0.70 1.35
H 0.750012 -2.630762 1.736960 -0.50 -0.27 0.14
H 1.022579 -0.757287 2.605914 -0.53 1.29 -1.55
C -1.578322 0.359138 -0.625910 -0.48 0.17 0.71
S -0.062422 -0.348650 -1.022965 -0.17 0.03 0.06
H -0.284279 -2.937142 0.179573 0.37 -0.32 0.04
C 0.234423 -2.269465 0.856179 -0.29 -1.12 -0.54
H -1.893866 0.092188 0.415372 0.08 0.31 -0.88
```
Forces are in eV/Å.

Electronic energy ... -1411.926973 a.u.
LUMO level ... -0.35 eV
SMILES string ... C=C(CCl)SC=S
Relative energy (zero: lowest compared OMol25 entry of this formula, charge and spin) ... 0.997 eV
Kohn-Sham gap ... 8.55 eV
2S+1 ... 1
HOMO level ... -0.327 Ha
Maximum force ... 2.1 eV Å⁻¹

Entry 2:
Entry from the OMol25 dataset: a structure of composition C4H5CsO at a distorted geometry (ωB97M-V with the def2-TZVPD basis set).

XYZ file:
```
11
Properties=species:S:1:pos:R:3:forces:R:3
H -2.845480 -0.506953 -0.702406 0.15 0.42 -0.06
C -0.571189 0.279720 -0.512184 0.42 0.84 0.49
C 0.700140 -0.649799 0.441315 -1.65 -0.58 0.59
H -1.429876 1.843704 1.065897 -0.33 -0.67 0.29
H -0.186602 -1.490354 0.581266 2.40 0.47 -1.48
Cs 5.422583 -0.351209 -0.894118 -0.39 -0.04 0.08
H 0.640659 -0.298894 1.490810 0.30 0.80 -0.22
C -1.991558 0.090498 -0.397378 0.12 -0.29 2.03
H -0.124688 0.743815 -1.399205 0.36 -0.35 0.43
C -1.441264 0.921703 0.490569 -0.27 0.30 -2.40
O 1.827275 -0.582231 -0.164570 -1.11 -0.89 0.25
```
Forces are in eV/Å.

Charge ... +1
Electronic energy ... -250.380333 a.u.
LUMO level (alpha / beta) ... -3.56 / -4.16 eV
Expectation value of S² ... 0.76
Relative energy (zero: lowest compared OMol25 entry of this formula, charge and spin) ... 2.289 eV
Kohn-Sham gap (alpha / beta) ... 7.63 / 7.78 eV
2S+1 ... 2
HOMO level (alpha / beta) ... -0.411 / -0.439 Ha
Maximum force ... 2.9 eV Å⁻¹

Entry 3:
Entry from the OMol25 dataset: a structure of composition C4H5DyO2 at a distorted geometry (ωB97M-V with the def2-TZVPD basis set).

XYZ file:
```
12
Properties=species:S:1:pos:R:3:forces:R:3
C -0.490258 0.116371 -0.518659 1.19 -1.49 1.37
O 2.654288 0.141386 -0.570463 1.17 0.66 0.07
C 0.490930 -0.548011 0.154571 -3.31 0.47 -3.45
C 1.859525 -0.470104 0.238653 3.08 -0.19 0.65
H 2.310712 -0.839816 1.174904 -0.11 -0.57 -0.54
H -1.853614 -0.216081 1.144277 0.37 0.17 -0.35
H -3.257119 1.489907 0.363698 -0.16 -0.03 0.01
O -2.335559 1.500466 0.090664 0.71 -0.43 -0.46
H -2.501583 -0.508065 -0.458005 0.41 0.07 -0.22
C -1.834399 0.171906 0.107469 -2.10 0.80 0.85
Dy 5.066925 0.635684 -1.229905 -2.10 -0.33 0.54
H -0.109845 -1.473646 -0.497205 0.85 0.87 1.54
```
Forces are in eV/Å.

Charge ... +2
Electronic energy ... -1190.058028 a.u.
LUMO level (alpha / beta) ... -8.99 / -10.00 eV
Expectation value of S² ... 9.78
Relative energy (zero: lowest compared OMol25 entry of this formula, charge and spin) ... 1.202 eV
Kohn-Sham gap (alpha / beta) ... 7.20 / 4.70 eV
2S+1 ... 6
HOMO level (alpha / beta) ... -0.595 / -0.540 Ha
Maximum force ... 4.8 eV Å⁻¹

Entry 4:
Entry from the OMol25 dataset: a structure of composition C4H5ErLiO3 at a distorted geometry (ωB97M-V with the def2-TZVPD basis set).

XYZ file:
```
14
Properties=species:S:1:pos:R:3:forces:R:3
C 1.425957 -0.500931 -0.811154 1.54 0.78 2.37
O 0.172994 -0.779386 -1.267469 -1.30 -0.08 -0.73
C 2.307656 -1.345611 -0.255347 -0.69 -0.16 -0.81
C -0.043334 0.236249 0.069801 2.15 0.74 -0.59
C -2.274018 0.845784 0.636221 0.05 0.67 0.85
H -2.186815 1.736094 0.003968 -0.02 -0.36 -0.04
H 2.288571 -2.412541 -0.496784 0.20 0.00 0.32
Er 2.788233 2.430321 -0.540733 -0.73 -0.94 0.11
Li -1.292980 -1.894617 -0.806252 0.33 0.37 -0.07

-- What to do --
Next, find the line earlier on that holds "0.179573 0.37", then quote that line and all lines after it there.

-- Written answer --
H -0.284279 -2.937142 0.179573 0.37 -0.32 0.04
C 0.234423 -2.269465 0.856179 -0.29 -1.12 -0.54
H -1.893866 0.092188 0.415372 0.08 0.31 -0.88
```
Forces are in eV/Å.

Electronic energy ... -1411.926973 a.u.
LUMO level ... -0.35 eV
SMILES string ... C=C(CCl)SC=S
Relative energy (zero: lowest compared OMol25 entry of this formula, charge and spin) ... 0.997 eV
Kohn-Sham gap ... 8.55 eV
2S+1 ... 1
HOMO level ... -0.327 Ha
Maximum force ... 2.1 eV Å⁻¹

Entry 2:
Entry from the OMol25 dataset: a structure of composition C4H5CsO at a distorted geometry (ωB97M-V with the def2-TZVPD basis set).

XYZ file:
```
11
Properties=species:S:1:pos:R:3:forces:R:3
H -2.845480 -0.506953 -0.702406 0.15 0.42 -0.06
C -0.571189 0.279720 -0.512184 0.42 0.84 0.49
C 0.700140 -0.649799 0.441315 -1.65 -0.58 0.59
H -1.429876 1.843704 1.065897 -0.33 -0.67 0.29
H -0.186602 -1.490354 0.581266 2.40 0.47 -1.48
Cs 5.422583 -0.351209 -0.894118 -0.39 -0.04 0.08
H 0.640659 -0.298894 1.490810 0.30 0.80 -0.22
C -1.991558 0.090498 -0.397378 0.12 -0.29 2.03
H -0.124688 0.743815 -1.399205 0.36 -0.35 0.43
C -1.441264 0.921703 0.490569 -0.27 0.30 -2.40
O 1.827275 -0.582231 -0.164570 -1.11 -0.89 0.25
```
Forces are in eV/Å.

Charge ... +1
Electronic energy ... -250.380333 a.u.
LUMO level (alpha / beta) ... -3.56 / -4.16 eV
Expectation value of S² ... 0.76
Relative energy (zero: lowest compared OMol25 entry of this formula, charge and spin) ... 2.289 eV
Kohn-Sham gap (alpha / beta) ... 7.63 / 7.78 eV
2S+1 ... 2
HOMO level (alpha / beta) ... -0.411 / -0.439 Ha
Maximum force ... 2.9 eV Å⁻¹

Entry 3:
Entry from the OMol25 dataset: a structure of composition C4H5DyO2 at a distorted geometry (ωB97M-V with the def2-TZVPD basis set).

XYZ file:
```
12
Properties=species:S:1:pos:R:3:forces:R:3
C -0.490258 0.116371 -0.518659 1.19 -1.49 1.37
O 2.654288 0.141386 -0.570463 1.17 0.66 0.07
C 0.490930 -0.548011 0.154571 -3.31 0.47 -3.45
C 1.859525 -0.470104 0.238653 3.08 -0.19 0.65
H 2.310712 -0.839816 1.174904 -0.11 -0.57 -0.54
H -1.853614 -0.216081 1.144277 0.37 0.17 -0.35
H -3.257119 1.489907 0.363698 -0.16 -0.03 0.01
O -2.335559 1.500466 0.090664 0.71 -0.43 -0.46
H -2.501583 -0.508065 -0.458005 0.41 0.07 -0.22
C -1.834399 0.171906 0.107469 -2.10 0.80 0.85
Dy 5.066925 0.635684 -1.229905 -2.10 -0.33 0.54
H -0.109845 -1.473646 -0.497205 0.85 0.87 1.54
```
Forces are in eV/Å.

Charge ... +2
Electronic energy ... -1190.058028 a.u.
LUMO level (alpha / beta) ... -8.99 / -10.00 eV
Expectation value of S² ... 9.78
Relative energy (zero: lowest compared OMol25 entry of this formula, charge and spin) ... 1.202 eV
Kohn-Sham gap (alpha / beta) ... 7.20 / 4.70 eV
2S+1 ... 6
HOMO level (alpha / beta) ... -0.595 / -0.540 Ha
Maximum force ... 4.8 eV Å⁻¹

Entry 4:
Entry from the OMol25 dataset: a structure of composition C4H5ErLiO3 at a distorted geometry (ωB97M-V with the def2-TZVPD basis set).

XYZ file:
```
14
Properties=species:S:1:pos:R:3:forces:R:3
C 1.425957 -0.500931 -0.811154 1.54 0.78 2.37
O 0.172994 -0.779386 -1.267469 -1.30 -0.08 -0.73
C 2.307656 -1.345611 -0.255347 -0.69 -0.16 -0.81
C -0.043334 0.236249 0.069801 2.15 0.74 -0.59
C -2.274018 0.845784 0.636221 0.05 0.67 0.85
H -2.186815 1.736094 0.003968 -0.02 -0.36 -0.04
H 2.288571 -2.412541 -0.496784 0.20 0.00 0.32
Er 2.788233 2.430321 -0.540733 -0.73 -0.94 0.11
Li -1.292980 -1.894617 -0.806252 0.33 0.37 -0.07